Input.
┌──
# Sm2Co2Ru (PBE, optimized geometry)
data_Sm2Co2Ru
_cell_length_a 9.024
_cell_length_b 5.490
_cell_length_c 7.905
_cell_angle_alpha 90.00
_cell_angle_beta 102.63
_cell_angle_gamma 90.00
_symmetry_space_group_name_H-M 'C 1 2/c 1'
_symmetry_Int_Tables_number 15
loop_
_symmetry_equiv_pos_as_xyz
'x,y,z'
'-x,-y,-z'
'-x,y,-z+1/2'
'x,-y,z+1/2'
'x+1/2,y+1/2,z'
'-x+1/2,-y+1/2,-z'
'-x+1/2,y+1/2,-z+1/2'
'x+1/2,-y+1/2,z+1/2'
loop_
_atom_site_label
_atom_site_type_symbol
_atom_site_fract_x
_atom_site_fract_y
_atom_site_fract_z
Sm1 Sm 0.153 0.114 0.154
Co1 Co 0.116 0.384 0.501
Ru1 Ru 0.000 0.378 0.750
# E above lowest polymorph: 0.000 eV/f.u.
# formation energy: -0.64 eV per formula unit
# density of states at the Fermi level: 1.4070 states/eV per atom
# magnetic moment: 0.00 μB per formula unit

---

# Re4PbCl (PBE, optimized geometry)
data_Re4PbCl
_cell_length_a 7.605
_cell_length_b 7.605
_cell_length_c 7.605
_cell_angle_alpha 90.00
_cell_angle_beta 90.00
_cell_angle_gamma 90.00
_symmetry_space_group_name_H-M 'F -4 3 m'
_symmetry_Int_Tables_number 216
_symmetry_space_group_name_Hall 'F -4 2 3'
loop_
_atom_site_label
_atom_site_type_symbol
_atom_site_fract_x
_atom_site_fract_y
_atom_site_fract_z
Re1 Re 0.124 0.124 0.124
Pb1 Pb 0.000 0.000 0.500
Cl1 Cl 0.250 0.250 0.750
# E_form (uncorrected): 7.46 eV/f.u.
# density of states at the Fermi level: 1.2294 states/eV per atom
# magnetic moment: 0.00 μB per formula unit

---

# HoThRh (PBE, optimized geometry)
data_HoThRh
_cell_length_a 6.062
_cell_length_b 7.390
_cell_length_c 7.158
_cell_angle_alpha 90.00
_cell_angle_beta 90.23
_cell_angle_gamma 90.00
_symmetry_space_group_name_H-M 'P 1 21/c 1'
_symmetry_Int_Tables_number 14
loop_
_symmetry_equiv_pos_as_xyz
'x,y,z'
'-x,-y,-z'
'-x,y+1/2,-z+1/2'
'x,-y+1/2,z+1/2'
loop_
_atom_site_label
_atom_site_type_symbol
_atom_site_fract_x
_atom_site_fract_y
_atom_site_fract_z
Ho1 Ho 0.111 0.107 0.252
Th1 Th 0.403 0.750 0.000
Rh1 Rh 0.322 0.049 0.748
# E above lowest polymorph: 0.000 eV/f.u.
# formation energy: -1.79 eV per formula unit
# density of states at the Fermi level: 0.9649 states/eV per atom
# magnetic moment: 0.00 μB per formula unit

---

# Cs4PtO2 (PBE, optimized geometry)
data_Cs4PtO2
_cell_length_a 5.6047
_cell_length_b 5.6047
_cell_length_c 23.3390
_cell_angle_alpha 90.00
_cell_angle_beta 90.00
_cell_angle_gamma 120.00
_symmetry_space_group_name_H-M 'R -3 m'
_symmetry_Int_Tables_number 166
_symmetry_space_group_name_Hall '-R 3 2"'
loop_
_atom_site_label
_atom_site_type_symbol
_atom_site_fract_x
_atom_site_fract_y
_atom_site_fract_z
Cs1 Cs 0.0000 0.0000 0.1154
Cs2 Cs 0.0000 0.0000 0.2918
Pt1 Pt 0.0000 0.0000 0.5000
O1 O 0.0000 0.0000 0.4107
# E_form (uncorrected): -5.28 eV/f.u.
# magnetic moment: 0.00 μB per formula unit

---

# Y7ErTm3 (PBE, optimized geometry)
data_Y7ErTm3
_cell_length_a 6.922
_cell_length_b 5.512
_cell_length_c 9.935
_cell_angle_alpha 90.00
_cell_angle_beta 110.27
_cell_angle_gamma 90.00
_symmetry_space_group_name_H-M 'P 1 2/m 1'
_symmetry_Int_Tables_number 10
loop_
_symmetry_equiv_pos_as_xyz
'x,y,z'
'-x,-y,-z'
'-x,y,-z'
'x,-y,z'
loop_
_atom_site_label
_atom_site_type_symbol
_atom_site_fract_x
_atom_site_fract_y
_atom_site_fract_z
Y1 Y 0.000 0.000 0.000
Y2 Y 0.145 0.500 0.290
Y3 Y 0.320 0.500 0.639
Y4 Y 0.416 0.000 0.831
Er1 Er 0.000 0.000 0.500
Tm1 Tm 0.279 0.500 0.000
Tm2 Tm 0.500 0.000 0.500
# E above lowest polymorph: 0.000 eV/f.u.
# formation energy: 1.63 eV per formula unit
# density of states at the Fermi level: 1.8023 states/eV per atom
# magnetic moment: 0.00 μB per formula unit

---

# Dy2ErTmSc4 (PBE, optimized geometry)
data_Dy2ErTmSc4
_cell_length_a 4.854
_cell_length_b 4.854
_cell_length_c 9.350
_cell_angle_alpha 90.00
_cell_angle_beta 90.00
_cell_angle_gamma 90.00
_symmetry_space_group_name_H-M 'P 4/m m m'
_symmetry_Int_Tables_number 123
_symmetry_space_group_name_Hall '-P 4 2'
loop_
_atom_site_label
_atom_site_type_symbol
_atom_site_fract_x
_atom_site_fract_y
_atom_site_fract_z
Dy1 Dy 0.000 0.000 0.000
└──

Activity.
Now restate everything above with every line break kept.

Here it is.
# Sm2Co2Ru (PBE, optimized geometry)
data_Sm2Co2Ru
_cell_length_a 9.024
_cell_length_b 5.490
_cell_length_c 7.905
_cell_angle_alpha 90.00
_cell_angle_beta 102.63
_cell_angle_gamma 90.00
_symmetry_space_group_name_H-M 'C 1 2/c 1'
_symmetry_Int_Tables_number 15
loop_
_symmetry_equiv_pos_as_xyz
'x,y,z'
'-x,-y,-z'
'-x,y,-z+1/2'
'x,-y,z+1/2'
'x+1/2,y+1/2,z'
'-x+1/2,-y+1/2,-z'
'-x+1/2,y+1/2,-z+1/2'
'x+1/2,-y+1/2,z+1/2'
loop_
_atom_site_label
_atom_site_type_symbol
_atom_site_fract_x
_atom_site_fract_y
_atom_site_fract_z
Sm1 Sm 0.153 0.114 0.154
Co1 Co 0.116 0.384 0.501
Ru1 Ru 0.000 0.378 0.750
# E above lowest polymorph: 0.000 eV/f.u.
# formation energy: -0.64 eV per formula unit
# density of states at the Fermi level: 1.4070 states/eV per atom
# magnetic moment: 0.00 μB per formula unit

---

# Re4PbCl (PBE, optimized geometry)
data_Re4PbCl
_cell_length_a 7.605
_cell_length_b 7.605
_cell_length_c 7.605
_cell_angle_alpha 90.00
_cell_angle_beta 90.00
_cell_angle_gamma 90.00
_symmetry_space_group_name_H-M 'F -4 3 m'
_symmetry_Int_Tables_number 216
_symmetry_space_group_name_Hall 'F -4 2 3'
loop_
_atom_site_label
_atom_site_type_symbol
_atom_site_fract_x
_atom_site_fract_y
_atom_site_fract_z
Re1 Re 0.124 0.124 0.124
Pb1 Pb 0.000 0.000 0.500
Cl1 Cl 0.250 0.250 0.750
# E_form (uncorrected): 7.46 eV/f.u.
# density of states at the Fermi level: 1.2294 states/eV per atom
# magnetic moment: 0.00 μB per formula unit

---

# HoThRh (PBE, optimized geometry)
data_HoThRh
_cell_length_a 6.062
_cell_length_b 7.390
_cell_length_c 7.158
_cell_angle_alpha 90.00
_cell_angle_beta 90.23
_cell_angle_gamma 90.00
_symmetry_space_group_name_H-M 'P 1 21/c 1'
_symmetry_Int_Tables_number 14
loop_
_symmetry_equiv_pos_as_xyz
'x,y,z'
'-x,-y,-z'
'-x,y+1/2,-z+1/2'
'x,-y+1/2,z+1/2'
loop_
_atom_site_label
_atom_site_type_symbol
_atom_site_fract_x
_atom_site_fract_y
_atom_site_fract_z
Ho1 Ho 0.111 0.107 0.252
Th1 Th 0.403 0.750 0.000
Rh1 Rh 0.322 0.049 0.748
# E above lowest polymorph: 0.000 eV/f.u.
# formation energy: -1.79 eV per formula unit
# density of states at the Fermi level: 0.9649 states/eV per atom
# magnetic moment: 0.00 μB per formula unit

---

# Cs4PtO2 (PBE, optimized geometry)
data_Cs4PtO2
_cell_length_a 5.6047
_cell_length_b 5.6047
_cell_length_c 23.3390
_cell_angle_alpha 90.00
_cell_angle_beta 90.00
_cell_angle_gamma 120.00
_symmetry_space_group_name_H-M 'R -3 m'
_symmetry_Int_Tables_number 166
_symmetry_space_group_name_Hall '-R 3 2"'
loop_
_atom_site_label
_atom_site_type_symbol
_atom_site_fract_x
_atom_site_fract_y
_atom_site_fract_z
Cs1 Cs 0.0000 0.0000 0.1154
Cs2 Cs 0.0000 0.0000 0.2918
Pt1 Pt 0.0000 0.0000 0.5000
O1 O 0.0000 0.0000 0.4107
# E_form (uncorrected): -5.28 eV/f.u.
# magnetic moment: 0.00 μB per formula unit

---

# Y7ErTm3 (PBE, optimized geometry)
data_Y7ErTm3
_cell_length_a 6.922
_cell_length_b 5.512
_cell_length_c 9.935
_cell_angle_alpha 90.00
_cell_angle_beta 110.27
_cell_angle_gamma 90.00
_symmetry_space_group_name_H-M 'P 1 2/m 1'
_symmetry_Int_Tables_number 10
loop_
_symmetry_equiv_pos_as_xyz
'x,y,z'
'-x,-y,-z'
'-x,y,-z'
'x,-y,z'
loop_
_atom_site_label
_atom_site_type_symbol
_atom_site_fract_x
_atom_site_fract_y
_atom_site_fract_z
Y1 Y 0.000 0.000 0.000
Y2 Y 0.145 0.500 0.290
Y3 Y 0.320 0.500 0.639
Y4 Y 0.416 0.000 0.831
Er1 Er 0.000 0.000 0.500
Tm1 Tm 0.279 0.500 0.000
Tm2 Tm 0.500 0.000 0.500
# E above lowest polymorph: 0.000 eV/f.u.
# formation energy: 1.63 eV per formula unit
# density of states at the Fermi level: 1.8023 states/eV per atom
# magnetic moment: 0.00 μB per formula unit

---

# Dy2ErTmSc4 (PBE, optimized geometry)
data_Dy2ErTmSc4
_cell_length_a 4.854
_cell_length_b 4.854
_cell_length_c 9.350
_cell_angle_alpha 90.00
_cell_angle_beta 90.00
_cell_angle_gamma 90.00
_symmetry_space_group_name_H-M 'P 4/m m m'
_symmetry_Int_Tables_number 123
_symmetry_space_group_name_Hall '-P 4 2'
loop_
_atom_site_label
_atom_site_type_symbol
_atom_site_fract_x
_atom_site_fract_y
_atom_site_fract_z
Dy1 Dy 0.000 0.000 0.000